-- Material --
<<<
C7H17CuO3 | ωB97M-V/def2-TZVPD

```
28
Properties=species:S:1:pos:R:3:mulliken_charge:R:1
C 2.076 1.556 -0.045 -0.441
C 1.577 0.860 -1.309 -1.302
O 0.734 -0.864 -0.920 -0.571
C -0.026 -1.526 -1.883 -0.482
C -0.837 -2.630 -1.231 -0.382
O -1.569 -2.042 -0.170 -0.176
C -2.388 -2.931 0.550 -0.756
H 2.620 0.828 0.579 0.238
H 2.799 2.329 -0.342 0.307
H 2.415 0.269 -1.714 0.349
H 0.606 1.295 -1.602 0.367
H 0.604 -1.973 -2.676 0.293
H -0.729 -0.818 -2.371 0.239
H -0.175 -3.420 -0.832 0.329
H -1.525 -3.092 -1.960 0.360
H -3.018 -2.337 1.222 0.233
H -3.033 -3.500 -0.139 0.290
H -1.782 -3.640 1.139 0.308
C -0.476 1.833 2.601 -0.778
O 0.359 1.271 1.613 -0.147
C 1.010 2.231 0.796 -0.479
H -0.911 1.013 3.184 0.233
H 0.109 2.501 3.253 0.314
H -1.298 2.409 2.144 0.343
H 1.460 2.992 1.457 0.370
H 0.260 2.724 0.152 0.348
Cu -0.446 -0.439 0.666 0.255
H 2.019 1.757 -2.531 0.338
```

E in eV: -58310.55787
Relative energy (zero: lowest compared OMol25 entry of this formula, charge and spin) in kcal per mole: 51.5
Multiplicity: 1
Gap between HOMO and LUMO in eV: 6.3
HOMO energy in eV: -6.1



C2ClN3O4 | ωB97M-V/def2-TZVPD

```
10
Properties=species:S:1:pos:R:3:mulliken_charge:R:1
C 0.429 2.217 0.014 0.485
C -0.316 -1.163 -0.409 0.204
N 0.449 3.360 -0.081 -0.367
N 0.016 -1.758 0.875 0.910
N -0.227 0.100 -0.779 0.698
O -0.286 -2.944 1.029 -0.516
O -0.472 0.592 -1.830 -0.559
O 0.487 -1.003 1.738 -0.507
O 0.232 0.987 0.301 -0.278
Cl -0.764 -2.267 -1.652 -0.069
```

E in eV: -27247.70294
Relative energy (zero: lowest compared OMol25 entry of this formula, charge and spin) in kcal per mole: 28.9
Multiplicity: 1
Gap between HOMO and LUMO in eV: 8.8
SMILES string: N#CO/[N+]([O-])=C(/Cl)[N+](=O)[O-]
HOMO energy in eV: -10.9



C4H12N2O | ωB97M-V/def2-TZVPD

```
19
Properties=species:S:1:pos:R:3:mulliken_charge:R:1
N 0.514 -1.596 0.845 -0.601
C 0.455 -0.788 -0.350 0.440
C 1.776 -0.675 -1.060 -0.760
O 2.370 -1.916 -1.355 -0.536
C -0.079 0.646 -0.104 -0.935
N -1.282 0.679 0.662 -0.167
C -2.228 1.774 0.521 -0.917
H -0.238 -2.254 0.896 0.223
H 0.679 -1.071 1.687 0.209
H -0.315 -1.195 -1.007 0.286
H 1.582 -0.131 -1.984 0.320
H 2.467 -0.075 -0.468 0.312
H 2.477 -2.363 -0.490 0.328
H -0.269 1.133 -1.077 0.434
H 0.719 1.286 0.322 0.271
H -1.219 0.270 1.573 0.209
H -1.822 2.564 -0.117 0.295
H -2.423 2.261 1.469 0.331
H -3.163 1.451 0.036 0.258
```

E in eV: -9369.52459
Relative energy (zero: lowest compared OMol25 entry of this formula, charge and spin) in kcal per mole: 38.5
Multiplicity: 1
Gap between HOMO and LUMO in eV: 9.4
SMILES string: CNC[C@H](N)CO
HOMO energy in eV: -8.4



C17H50CrO21P5 | ωB97M-V/def2-TZVPD

```
94
Properties=species:S:1:pos:R:3:mulliken_charge:R:1
Cr -0.130 0.088 0.072 -1.033
C -0.768 -1.883 3.886 -0.918
C -1.658 -1.247 2.807 -0.251
O -1.017 -1.002 1.634 0.566
H 0.074 -1.235 4.116 -0.009
H -0.442 -2.836 3.454 0.243
H -1.314 -2.220 4.771 0.401
H -2.195 -0.377 3.241 -0.228
H -2.511 -1.951 2.674 0.205
C -3.893 4.734 0.378 -0.796
O -3.168 3.576 -0.050 -0.250
P -2.815 2.385 0.930 -0.723
O -1.584 1.664 0.572 1.196
O -4.158 1.519 0.966 -0.262
C -4.313 0.370 0.158 -0.410
O -2.823 3.050 2.362 -0.284
C -2.284 2.404 3.518 -0.589
H -4.294 5.179 -0.532 0.249
H -3.198 5.436 0.837 0.272
H -4.735 4.536 1.040 0.331
H -4.268 -0.540 0.759 0.237
H -3.537 0.215 -0.600 -0.159
H -5.247 0.377 -0.403 0.423
H -2.179 3.198 4.261 0.317
H -1.273 2.021 3.393 0.072
H -2.981 1.674 3.920 0.317
C 5.170 -2.328 0.666 -0.838
O 3.946 -1.636 0.456 -0.174
P 2.626 -2.226 -0.180 -0.714
O 1.568 -1.221 -0.252 1.719
O 2.365 -3.554 0.674 -0.252
C 1.818 -3.379 1.981 -0.248
O 3.154 -2.814 -1.562 -0.290
C 2.300 -3.642 -2.338 -0.526
H 5.066 -2.902 1.590 0.279
H 6.014 -1.648 0.667 0.238
H 5.316 -3.093 -0.102 0.319
H 1.859 -4.281 2.578 0.425
H 0.789 -3.013 1.888 -0.432
H 2.217 -2.520 2.537 0.180
H 2.840 -4.523 -2.694 0.359
H 1.960 -3.123 -3.233 0.145
H 1.460 -4.071 -1.791 0.182
C 0.864 3.809 2.257 -0.078
O 1.298 2.743 3.109 -0.436
P 1.950 1.471 2.390 -0.554
O 1.399 1.178 1.057 1.130
>>>
-- Work order --
Your job: duplicate the block above verbatim.
-- Completed --
C7H17CuO3 | ωB97M-V/def2-TZVPD

```
28
Properties=species:S:1:pos:R:3:mulliken_charge:R:1
C 2.076 1.556 -0.045 -0.441
C 1.577 0.860 -1.309 -1.302
O 0.734 -0.864 -0.920 -0.571
C -0.026 -1.526 -1.883 -0.482
C -0.837 -2.630 -1.231 -0.382
O -1.569 -2.042 -0.170 -0.176
C -2.388 -2.931 0.550 -0.756
H 2.620 0.828 0.579 0.238
H 2.799 2.329 -0.342 0.307
H 2.415 0.269 -1.714 0.349
H 0.606 1.295 -1.602 0.367
H 0.604 -1.973 -2.676 0.293
H -0.729 -0.818 -2.371 0.239
H -0.175 -3.420 -0.832 0.329
H -1.525 -3.092 -1.960 0.360
H -3.018 -2.337 1.222 0.233
H -3.033 -3.500 -0.139 0.290
H -1.782 -3.640 1.139 0.308
C -0.476 1.833 2.601 -0.778
O 0.359 1.271 1.613 -0.147
C 1.010 2.231 0.796 -0.479
H -0.911 1.013 3.184 0.233
H 0.109 2.501 3.253 0.314
H -1.298 2.409 2.144 0.343
H 1.460 2.992 1.457 0.370
H 0.260 2.724 0.152 0.348
Cu -0.446 -0.439 0.666 0.255
H 2.019 1.757 -2.531 0.338
```

E in eV: -58310.55787
Relative energy (zero: lowest compared OMol25 entry of this formula, charge and spin) in kcal per mole: 51.5
Multiplicity: 1
Gap between HOMO and LUMO in eV: 6.3
HOMO energy in eV: -6.1



C2ClN3O4 | ωB97M-V/def2-TZVPD

```
10
Properties=species:S:1:pos:R:3:mulliken_charge:R:1
C 0.429 2.217 0.014 0.485
C -0.316 -1.163 -0.409 0.204
N 0.449 3.360 -0.081 -0.367
N 0.016 -1.758 0.875 0.910
N -0.227 0.100 -0.779 0.698
O -0.286 -2.944 1.029 -0.516
O -0.472 0.592 -1.830 -0.559
O 0.487 -1.003 1.738 -0.507
O 0.232 0.987 0.301 -0.278
Cl -0.764 -2.267 -1.652 -0.069
```

E in eV: -27247.70294
Relative energy (zero: lowest compared OMol25 entry of this formula, charge and spin) in kcal per mole: 28.9
Multiplicity: 1
Gap between HOMO and LUMO in eV: 8.8
SMILES string: N#CO/[N+]([O-])=C(/Cl)[N+](=O)[O-]
HOMO energy in eV: -10.9



C4H12N2O | ωB97M-V/def2-TZVPD

```
19
Properties=species:S:1:pos:R:3:mulliken_charge:R:1
N 0.514 -1.596 0.845 -0.601
C 0.455 -0.788 -0.350 0.440
C 1.776 -0.675 -1.060 -0.760
O 2.370 -1.916 -1.355 -0.536
C -0.079 0.646 -0.104 -0.935
N -1.282 0.679 0.662 -0.167
C -2.228 1.774 0.521 -0.917
H -0.238 -2.254 0.896 0.223
H 0.679 -1.071 1.687 0.209
H -0.315 -1.195 -1.007 0.286
H 1.582 -0.131 -1.984 0.320
H 2.467 -0.075 -0.468 0.312
H 2.477 -2.363 -0.490 0.328
H -0.269 1.133 -1.077 0.434
H 0.719 1.286 0.322 0.271
H -1.219 0.270 1.573 0.209
H -1.822 2.564 -0.117 0.295
H -2.423 2.261 1.469 0.331
H -3.163 1.451 0.036 0.258
```

E in eV: -9369.52459
Relative energy (zero: lowest compared OMol25 entry of this formula, charge and spin) in kcal per mole: 38.5
Multiplicity: 1
Gap between HOMO and LUMO in eV: 9.4
SMILES string: CNC[C@H](N)CO
HOMO energy in eV: -8.4



C17H50CrO21P5 | ωB97M-V/def2-TZVPD

```
94
Properties=species:S:1:pos:R:3:mulliken_charge:R:1
Cr -0.130 0.088 0.072 -1.033
C -0.768 -1.883 3.886 -0.918
C -1.658 -1.247 2.807 -0.251
O -1.017 -1.002 1.634 0.566
H 0.074 -1.235 4.116 -0.009
H -0.442 -2.836 3.454 0.243
H -1.314 -2.220 4.771 0.401
H -2.195 -0.377 3.241 -0.228
H -2.511 -1.951 2.674 0.205
C -3.893 4.734 0.378 -0.796
O -3.168 3.576 -0.050 -0.250
P -2.815 2.385 0.930 -0.723
O -1.584 1.664 0.572 1.196
O -4.158 1.519 0.966 -0.262
C -4.313 0.370 0.158 -0.410
O -2.823 3.050 2.362 -0.284
C -2.284 2.404 3.518 -0.589
H -4.294 5.179 -0.532 0.249
H -3.198 5.436 0.837 0.272
H -4.735 4.536 1.040 0.331
H -4.268 -0.540 0.759 0.237
H -3.537 0.215 -0.600 -0.159
H -5.247 0.377 -0.403 0.423
H -2.179 3.198 4.261 0.317
H -1.273 2.021 3.393 0.072
H -2.981 1.674 3.920 0.317
C 5.170 -2.328 0.666 -0.838
O 3.946 -1.636 0.456 -0.174
P 2.626 -2.226 -0.180 -0.714
O 1.568 -1.221 -0.252 1.719
O 2.365 -3.554 0.674 -0.252
C 1.818 -3.379 1.981 -0.248
O 3.154 -2.814 -1.562 -0.290
C 2.300 -3.642 -2.338 -0.526
H 5.066 -2.902 1.590 0.279
H 6.014 -1.648 0.667 0.238
H 5.316 -3.093 -0.102 0.319
H 1.859 -4.281 2.578 0.425
H 0.789 -3.013 1.888 -0.432
H 2.217 -2.520 2.537 0.180
H 2.840 -4.523 -2.694 0.359
H 1.960 -3.123 -3.233 0.145
H 1.460 -4.071 -1.791 0.182
C 0.864 3.809 2.257 -0.078
O 1.298 2.743 3.109 -0.436
P 1.950 1.471 2.390 -0.554
O 1.399 1.178 1.057 1.130